The black body radiation
The photoelectric effect
The dual nature of light. Matter waves
Heat transport between two bodies can occur not only in a medium, but also by radiation.
This radiation is of electromagnetic nature.
When attempting to describe the electromagnetic radiation emitted by a body, the quantitative description is greatly simplified, if we work with an idealized heated solid, called a cavity radiator.
A cavity radiator consists of a block of material, having an internal cavity connected to the outside of the block by a small hole. When the block is heated to a certain temperature, the radiation emerging from the hole is called cavity radiation, or black body radiation. The reason for the latter name is that the hole behaves as a perfect absorber: light that enters this hole is trapped within the cavity. The nature of the black body radiation depends only on the temperature of the cavity walls, and not at all on the shape or size of the cavity, or the material forming the cavity walls. experimental background of quantum theory 1/9
1) Spectral distribution.
The spectrum of the radiation varies with temperature as shown in Figure 1.
Figure 1.
The spectrum of black body radiation.
2) Stefan-Boltzmann law.
The total energy emitted, that is proportional with the area under the curve, varies with the temperature as:
E = σ ⋅ T
4 where σ is a constant.
For example, if the temperature rises from 2000 K to 4000 K, the energy increases 16fold.
3) Wien's law.
The wavelength at the maximum intensity ( λ m
) is shifted towards lower wavelengths as temperature increases:
λ m
⋅ T = const .
The formula describes the experience that, the light emitted by a glowing metal is red when it is hot, yellow at high, and white at very high temperatures. experimental background of quantum theory 2/9
Theoretical explanation
**Attached: quantum chemistry results:**
____________
Formula: C38H63B3FN15O5
Source: the OMol25 dataset
Level of theory: ωB97M-V/def2-TZVPD

Values from the calculation:
- Charge: 0
- HOMO energy: -9.37 eV
- Strongest force on any atom: 1.1 eV/A

Last column: Löwdin charge in e.
Positions of all 125 atoms, in Å:
C1 -1.0426 1.3610 -3.1618  -0.069
C2 0.4849 1.4089 -3.1510  -0.270
O1 0.9967 2.2222 -2.1155  -0.172
C3 1.1082 1.5187 -0.8921  -0.185
C4 1.5467 2.5086 0.1634  -0.186
O2 2.9078 2.3027 0.5184  -0.128
C5 3.2833 3.0431 1.6764  -0.065
B1 4.1294 2.2878 2.7679  -0.464
O3 5.1105 3.0604 3.3814  0.260
B2 4.9403 2.9814 4.7469  -0.336
O4 4.9079 1.7289 5.2933  0.263
B3 4.2083 0.7787 4.5577  -0.539
C6 3.7527 -0.5094 5.3267  0.001
C7 4.5978 -1.7488 5.0392  -0.381
C8 6.0365 -1.4451 4.6697  -0.033
F1 4.0380 -2.5159 4.0240  -0.020
O5 3.9752 0.9834 3.2094  0.322
H1 -1.4477 2.1767 -2.5771  0.078
H2 -1.4155 1.4789 -4.1724  0.066
H3 -1.4096 0.4152 -2.7875  0.040
H4 0.8343 1.8079 -4.0974  0.107
H5 0.8714 0.3955 -3.0589  0.108
H6 0.1807 1.0328 -0.6179  0.092
H7 1.8976 0.7697 -0.9770  0.131
H8 1.4080 3.4959 -0.2726  0.103
H9 0.9246 2.4361 1.0442  0.079
H10 3.9372 3.8475 1.3405  0.126
H11 2.4214 3.5432 2.1169  0.129
H12 4.7867 3.9770 5.3752  0.122
H13 2.7297 -0.7351 5.0296  0.121
H14 3.7106 -0.3349 6.3925  0.117
H15 4.6016 -2.3615 5.9352  0.137
H16 6.6664 -2.2858 4.9335  0.078
H17 6.1052 -1.3472 3.5917  0.096
H18 6.4260 -0.5876 5.2034  0.080
C9 0.7855 -1.8711 1.2444  -0.042
C10 -0.0039 -1.5493 0.0785  -0.258
N1 -0.6247 -1.2834 -0.8485  0.175
H19 1.7523 -2.2754 0.9543  0.091
H20 0.9676 -0.9878 1.8559  0.091
H21 0.2778 -2.6089 1.8568  0.048
C11 -3.7494 -2.1281 0.0361  -0.087
C12 -4.7358 -1.2265 0.6080  -0.264
N2 -5.5598 -0.5642 1.0540  0.126
H22 -3.8233 -2.1516 -1.0498  0.080
H23 -2.7401 -1.8299 0.2968  0.032
H24 -3.9026 -3.1380 0.4118  0.070
C13 9.1870 0.9593 3.8166  -0.063
C14 9.4304 -0.4644 3.9862  -0.288
N3 9.6108 -1.5884 4.1206  0.136
H25 9.0751 1.2064 2.7628  0.086
H26 8.2767 1.2575 4.3344  0.072
H27 10.0146 1.5407 4.2181  0.083
C15 -1.6848 4.7633 1.7919  -0.058
C16 -1.3789 3.3905 2.1547  -0.281
N4 -1.1452 2.2996 2.4224  0.133
H28 -1.0993 5.4583 2.3915  0.085
H29 -1.4528 4.9395 0.7429  0.085
H30 -2.7401 4.9722 1.9466  0.083
C17 0.1130 -5.7708 0.8547  -0.085
C18 -0.8802 -4.8773 1.4240  -0.268
N5 -1.6488 -4.1429 1.8563  0.151
H31 0.0379 -5.7733 -0.2296  0.029
H32 1.1229 -5.4641 1.1172  0.074
H33 -0.0247 -6.7940 1.1960  0.089
C19 -1.0972 -4.3448 -2.6183  -0.081
C20 -0.9028 -5.7847 -2.6745  -0.298
N6 -0.7519 -6.9216 -2.7244  0.147
H34 -0.4558 -3.8821 -1.8678  0.053
H35 -0.8747 -3.8962 -3.5817  0.057
H36 -2.1294 -4.1053 -2.3717  0.082
C21 -7.8568 1.9705 0.1067  -0.094
C22 -8.2711 3.3195 -0.2381  -0.282
N7 -8.5926 4.3894 -0.4969  0.129
H37 -8.1760 1.2606 -0.6540  0.081
H38 -6.7750 1.9004 0.1969  0.061
H39 -8.2855 1.6593 1.0564  0.071
C23 -7.4028 2.1183 4.6498  -0.068
C24 -6.8729 2.9892 3.6149  -0.281
N8 -6.4466 3.6744 2.8004  0.139
H40 -7.0855 2.4565 5.6341  0.083
H41 -8.4908 2.1111 4.6253  0.083
____________
**The quantum chemistry results stop here:**
Theories based on classical physics had only limited success in explaining the experimental results.
The most important trials belong to Wilhelm Wien, and Lord Rayleigh and Sir James
Jeans. The Wien-law fits well only for relatively short wavelengths, while the Rayleigh-
Jeans formula fits well for higher wavelengths, however, they fail miserably outside these ranges. For example the Rayleigh-Jeans formula predicts infinite intensities when wavelength approaches zero. One formula fits the experimental results just where the other formula fails.
The solution was given by Max Planck, who created an empirical formula by interpolation between the two known formulas. His formula described perfectly the results, however, it had no theoretical basis for that moment.
When Planck started to elaborate the theoretical background, he assumed, that the atoms of the cavity walls behave like tiny electromagnetic oscillators, each having a characteristic frequency. The oscillators emit electromagnetic energy into the cavity and absorb electromagnetic energy from it.
To be able to explain his formula Planck was led to make two radical assumptions about the atomic oscillators:
1) An oscillator cannot have just any value of energy, but only values given by:
E = nhf where f is the oscillator frequency, h is a constant (now called the Planck constant), and n is a positive integer.
2) The oscillators do not radiate energy continuously, but only in "jumps", or quanta . The energy of one quanta is:
∆ E = hf
These assumptions were so radical, that even Planck resisted accepting them for many years.
For now it has been proved, that energy is quantized in all processes. However, we do not experience the discontinuity in our everyday life, because the Planck constant has a very low value, namely: h = 6.6 × 10 -34 joule.second. experimental background of quantum theory 3/9
Planck described his theory to the Berlin Physical Society on December 14, 1900. A new epoch in physics started on that date.
Planck applied the quantization of energy only to the atomic oscillators, not to the radiation. It was Albert Einstein (1879-1955), who successfully applied the theory to the electromagnetic radiation, and named the quanta of light photons.
Based on this theory he was able to explain the experimental results of photoelectric effect, for which he was awarded with the Nobel-prize in 1921. experimental background of quantum theory 4/9
The photoelectric effect is one of the most important phenomena proving the particle nature of light.
In the experiment monochromatic light of suitably high frequency falls on a metal surface, and ejects electrons (called photoelectrons) from it (Figure 2).
Figure 2.
The apparatud used to study the photoelectric effect.
The electrons may be attracted to or rejected from the anode by applying a potential difference ( V ). If they reach the anode, they form a photoelectric current ( I ).
The two key parameters followed in the experiment are the number and the kinetic energy of the photoelectrons.
The number of photoelectrons reaching the anode ( N ) is proportional to the photoelectric current ( I ), because:
I =
Q t
N t
⋅ e
, where Q is the charge, t is the time, e is the electron charge.
The kinetic energy of the individual electrons ( E k
) is proportional to the stopping potential V
, at which the photoelectric current drops to zero. In this case the electric field opposing the motion of the electrons prevents them from reaching the anode. The stopping potential multiplied by the electron charge measures the kinetic energy of one electron:
E k
= e ⋅ V
. experimental background of quantum theory 5/9
The current ( I ) depends on the potential difference as shown in Figure 3:
Figure 3.
Dependence of current on potential difference taken for two intensities of the incindent light.
As seen from the graph, the number of photoelectrons (~ I ) depends only on the intensity of the incident light, while the V
, and thus the kinetic energy of the electrons does not depend at all on the light intensity.
The classical wave theory, which considered the light a continuous flow of energy, was unable to explain these results:
Predictions of the wave theory as the intensity of light increases,
E k
should increase
Experimental results as light intensity increases, the number of photoelectrons increases the effect should occur for any frequency of light the electrons should be ejected with time delay, because they would slowly receive energy from the light it occurs only for frequencies higher than f
(cutoff frequency) the effect is instantaneous experimental background of quantum theory 6/9
Theoretical explanation - Einstein's photon theory
In 1905 Einstein made a remarkable assumption about the nature of light, using which he could explain the photoelectric effect: Under some circumstances light behaves as energy was concentrated into localized bundles, later called photons . The energy of a single photon is
E = hf where f is the frequency of the light, and h is the Planck constant.
This view, that light behaves a stream of particles, is in sharp contrast with the wave theory!
By applying Einstein's photon concept to the photoelectric effect, we can write: hf = Φ + E k
The equation describes that a photon carries the energy hf , which is absorbed by a single electron. Part of this ( Φ , work function) is used in causing the electron to escape from the surface. The excess energy ( hf − Φ ) becomes the electron kinetic energy.
The photon theory explains the experimental observations the following way:
1) If we increase the light intensity, we increase the number of incident photons, thus the number of photoelectrons increases.
2) By increasing the frequency of light we increase the energy of the individual photons, thus the kinetic energy of the electrons increases (see equation).
3) If the energy of a photon is smaller than the work function, electrons are not ejected at all, because the absorbed energy is not enough for an electron to leave the surface. In the limit case the photon energy is just enough to eject an electron, which then carries no extra kinetic energy: hf
= Φ where f
is the cutoff frequency.
4) The effect is instantaneous, because the energy is supplied in concentrated bundles.
For the 26-year old Einstein 1905 was a banner year. During that year he published, in sequence and in the same prestigious journal: (1) his theory of photons, (2) a theory of
Brownian motion, (3) his spetial theory of relativity, and (4) the germ of his now-famous
E=mc 2 formula. During all this time he worked as a minor official in the Swiss patent office, working on physics privately and in his spare time! experimental background of quantum theory 7/9
The dual nature of light
The particle nature of light has finally been accepted for the description of the photoelectric effect. However, based on other phenomena, the wave nature of light must also be valid.
Now the two views are considered as complementary aspects. Some phenomena can be understoud by assuming that light is a wave, others by assuming that it behaves as a stream of particles. Examples:
Particle nature Wave nature black body radiation photoelectric effect
Compton effect interference diffraction polarization
Matter waves
In 1924 Louis de Broglie reasoned that if light has a dual, wave-particle nature, perhaps matter has also. Since matter was at that time regarded as being composed of particles, de
Broglie's reasoning suggested that it might be fruitful to search for a wave-like behaviour of matter.
De Broglie not only suggested the existence of matter waves, but also predicted what their expected wavelength would be. His famous formula allows calculation of this wavelength for a particle with the momentum p ( p = mass × velocity):
λ = h p
, where h is the Planck constant. The formula establishes a connection between the particle and wave aspects. The greater the momentum, the smaller the wavelength.
De Broglie's idea seemed to be only an abstract theory, till in 1927 Clinton Davission and
Lester Germer in the USA, and George P. Thomson in Scotland proved experimentally that electrons may have wave nature. When an electron beam was allowed to fall on a single crystal of nickel, diffraction maxima were observed in the "reflected" beam.
Moreover, the wavelength determined experimentally from the Bragg relationship was in an excellent aggreement with that predicted by de Broglie's formula. This was a strong evidence that electrons are wave-like in some circumstances. experimental background of quantum theory 8/9
A crystal was necessary to observe the diffraction of electrons, because detectable diffraction occurs only if the distance between the centers of the diffracting grid (atomic planes in this case) are comparable to the wavelength. It turned out, that electron beams had similar wavelengths as X-rays used in crystallographic studies.
An application of the theory of matter waves was electron microscopy. The resolution of light microscopes is limited by the wavelength of light. The smallest resolvable distance for an electron microscope is much smaller than that for a light microscope, because the wavelength of the electron beam used to "illuminate" the sample is much smaller than the wavelength of light.
The matter-wave concept can also be applied to an electron in an atom, and it may help understand the Bohr quantization assumption. The orbiting electron in this case can be regarded as a wave, for which the wavelength must fit around the orbit an integral number of times.
Now we know, that not only electrons, but all other particles, charged or uncharged show wave-like characteristics.
According to complementarity principle formulated by Niels Bohr the wave-particle natures of either matter or radiation complement each other. It is not possibile to demonstrate the exclusive wave or particle nature of either matter or radiation. Both models are required. experimental background of quantum theory 9/9